### What to do
Your job: start at the top of the material further below and duplicate each line, ending with the one that has "0.2500 0.0000".

### Source
<<<
Record 1
The following is a theoretical powder X-ray diffraction pattern of NaAcGe. It was derived from DFT lattice parameters and positions (PBE), using λ = 1.5418 Å (Cu Kα).
No peak broadening, texture or thermal motion is included.

The 12 most intense peaks (2θ = 5–70°), sorted by position:
- 2θ = 10.55°, intensity 73, hkl 0 0 1
- 2θ = 21.93°, intensity 47, hkl 1 0 1
- 2θ = 27.23°, intensity 100, hkl 1 1 0
- 2θ = 28.73°, intensity 90, hkl 1 0 2
- 2θ = 29.28°, intensity 61, hkl 1 1 1
- 2θ = 32.02°, intensity 30, hkl 0 0 3
- 2θ = 34.76°, intensity 39, hkl 1 1 2
- 2θ = 38.90°, intensity 55, hkl 2 0 0
- 2θ = 42.53°, intensity 36, hkl 1 1 3
- 2θ = 49.06°, intensity 43, hkl 2 1 2
- 2θ = 51.24°, intensity 32, hkl 2 0 3
- 2θ = 58.54°, intensity 27, hkl 1 0 5

Structure:
Cell: 4.6308 4.6308 8.3844 Å, 90.00 90.00 90.00°
Sites, in units of the cell vectors:
Na: 0.2500 0.7500 0.0000
Na: 0.7500 0.2500 0.0000
Ac: 0.2500 0.2500 0.3512
Ac: 0.7500 0.7500 0.6488
Ge: 0.2500 0.2500 0.7331
Ge: 0.7500 0.7500 0.2669

***

Record 2
The following is a theoretical powder X-ray diffraction pattern of Dy4Bi2S9. It was derived from DFT lattice parameters and positions (PBE), using λ = 1.5418 Å (Cu Kα).
No peak broadening, texture or thermal motion is included.

The 12 most intense peaks (2θ = 5–70°), sorted by position:
- 2θ = 17.48°, intensity 38, hkl 1 0 2
- 2θ = 24.11°, intensity 96, hkl 0 1 4
- 2θ = 25.49°, intensity 100, hkl 1 1 0
- 2θ = 35.37°, intensity 46, hkl 2 0 4
- 2θ = 38.80°, intensity 78, hkl 1 1 6
- 2θ = 44.11°, intensity 46, hkl 1 2 4
- 2θ = 44.94°, intensity 46, hkl 3 0 0
- 2θ = 51.31°, intensity 24, hkl 0 1 10
- 2θ = 52.37°, intensity 15, hkl 2 2 0
- 2θ = 58.45°, intensity 16, hkl 3 1 4
- 2θ = 60.84°, intensity 20, hkl 2 2 6
- 2θ = 64.51°, intensity 20, hkl 1 2 10

Structure:
Cell: 6.9876 6.9876 18.6318 Å, 90.00 90.00 120.00°
Sites, in units of the cell vectors:
Dy: 0.3333 0.6667 0.1836
Dy: 0.3333 0.6667 0.4831
Dy: 0.3333 0.6667 0.6836
Dy: 0.3333 0.6667 0.9831
Dy: 0.6667 0.3333 0.0169
Dy: 0.6667 0.3333 0.3164
Dy: 0.6667 0.3333 0.5169
Dy: 0.6667 0.3333 0.8164
Bi: 0.0000 0.0000 0.1484
Bi: 0.0000 0.0000 0.3516
Bi: 0.0000 0.0000 0.6484
Bi: 0.0000 0.0000 0.8516
S: 0.0000 0.3070 0.2500
S: 0.0000 0.6930 0.7500
S: 0.0310 0.3775 0.5837
S: 0.0310 0.6535 0.0837
S: 0.3070 0.0000 0.2500
S: 0.3070 0.3070 0.7500
S: 0.3465 0.3775 0.0837
S: 0.3465 0.9690 0.5837
S: 0.3775 0.0310 0.9163
S: 0.3775 0.3465 0.4163
S: 0.6225 0.6535 0.5837
S: 0.6225 0.9690 0.0837
S: 0.6535 0.0310 0.4163
S: 0.6535 0.6225 0.9163
S: 0.6930 0.0000 0.7500
S: 0.6930 0.6930 0.2500
S: 0.9690 0.3465 0.9163
S: 0.9690 0.6225 0.4163

***

Question: Which formula does entry 1 have?
Answer: NaAcGe

----------

No. 1
This entry pairs a crystal structure of NaCoPO4 with its calculated powder X-ray diffraction pattern. Radiation: a wavelength of 1.5418 Å. Structure: a cell relaxed with PBE+U.

Main lines, by angle (10° ≤ 2θ ≤ 90°):
| Position (°2θ) | d [Å] | intensity | (hkl) |
| --- | --- | --- | --- |
| 14.7 | 6.017 | 35 | 0 1 1 |
| 20.5 | 4.327 | 100 | 1 0 0 |
| 21.2 | 4.196 | 78 | 0 2 1 |
| 22.4 | 3.973 | 71 | 1 1 -2 |
| 24.3 | 3.663 | 27 | 1 2 -1 |
| 29.0 | 3.079 | 35 | 0 3 1 |
| 29.7 | 3.009 | 43 | 0 2 2 |
| 30.5 | 2.930 | 24 | 1 1 1 |
| 33.8 | 2.649 | 71 | 2 0 -2 |
| 34.3 | 2.615 | 80 | 1 2 -3 |
| 35.4 | 2.534 | 44 | 0 4 0 |
| 58.7 | 1.573 | 24 | 0 5 3 |

Structural model:
a = 5.2988 Å, b = 10.1379 Å, c = 9.1462 Å
α = 90.00°, β = 125.17°, γ = 90.00°
Space group P2_1/c (No. 14)
Asymmetric unit:
Na 0.2000 0.1189 0.4842 [4 per cell]
Co 0.3048 0.6693 0.5079 [4 per cell]
P 0.4200 0.0989 0.2201 [4 per cell]
O 0.1159 0.1302 0.2022 [4 per cell]
O 0.3055 0.6442 0.0879 [4 per cell]
O 0.4189 0.1730 0.0718 [4 per cell]
O 0.4649 0.5518 0.7142 [4 per cell]



No. 2
This entry pairs a crystal structure of NaCo2P2O9 with its calculated powder X-ray diffraction pattern. Radiation: a wavelength of 1.5418 Å. Structure: a cell relaxed with PBE+U.

Main lines, by angle (10° ≤ 2θ ≤ 90°):
>>>

### Completed
Record 1
The following is a theoretical powder X-ray diffraction pattern of NaAcGe. It was derived from DFT lattice parameters and positions (PBE), using λ = 1.5418 Å (Cu Kα).
No peak broadening, texture or thermal motion is included.

The 12 most intense peaks (2θ = 5–70°), sorted by position:
- 2θ = 10.55°, intensity 73, hkl 0 0 1
- 2θ = 21.93°, intensity 47, hkl 1 0 1
- 2θ = 27.23°, intensity 100, hkl 1 1 0
- 2θ = 28.73°, intensity 90, hkl 1 0 2
- 2θ = 29.28°, intensity 61, hkl 1 1 1
- 2θ = 32.02°, intensity 30, hkl 0 0 3
- 2θ = 34.76°, intensity 39, hkl 1 1 2
- 2θ = 38.90°, intensity 55, hkl 2 0 0
- 2θ = 42.53°, intensity 36, hkl 1 1 3
- 2θ = 49.06°, intensity 43, hkl 2 1 2
- 2θ = 51.24°, intensity 32, hkl 2 0 3
- 2θ = 58.54°, intensity 27, hkl 1 0 5

Structure:
Cell: 4.6308 4.6308 8.3844 Å, 90.00 90.00 90.00°
Sites, in units of the cell vectors:
Na: 0.2500 0.7500 0.0000
Na: 0.7500 0.2500 0.0000